
Jono's Shortform 2025-01-10T11:07:05.462Z
Is anyone developing optimisation-robust interpretability methods? 2024-06-11T13:14:51.018Z
Closed-Source Evaluations 2024-06-08T14:18:40.800Z
AI demands unprecedented reliability 2024-01-09T16:30:12.095Z


Comment by Jono (lw-user0246) on Jono's Shortform · 2025-01-10T11:07:05.790Z · LW · GW

P(doom) can be approximately measured. 
If reality fluid describes the territory well, we should be able to see close worlds that already died off.

For nuclear war we have some examples.
We can estimate the odds that the Cuban missile crisis and Petrov's decision went badly. If we accept that luck was a huge factor in us surviving those events (or not encountering events like it), we can see how unlikely our current world is to still live.

A high P(doom) implies that we are about to (or already did) encounter some very unlikely events that worked out suspiciously well for our survival. I don't know how public a registry of events like this should be, but it should exist.

Our self-reporting murderers or murder-witnesses should be extraordinarily well protected from leaks however, which in part seems like a software question.

Yes, this seems unlikely to happen, but again if your P(doom) is high, then we are only to survive in unlikely worlds. Working on this, to me, seems dignified: a way to make those unlikely worlds a bit less unlikely.

Comment by Jono (lw-user0246) on What should I do? (long term plan about starting an AI lab) · 2024-06-11T13:38:25.742Z · LW · GW

I don't know if you have already, but this might be the time to take a long and hard look at the probblem and consider whether deep learning is the key to solving it.

What is the problem?

  • reckless unilateralism? -> go work for policy or chip manufacturing
  • inabillity to specify human values? -> that problem looks not DL at all to me
  • powerful hackers stealing all the proto-AGIs in the next 4 years? -> go cybersec
  • deception? -> (why focus there? why make an AI that might deceive you in the first place?) but that's pretty ML, though I'm not sure interp is the way to go there
  • corrigibility? -> might be ML, though I'm not sure all theoretical squiggles are ironed out yet
  • OOD behavior? -> probably ML
  • multi-agent dynamics? -> probably ML

At the very least you ought to have a clear output channel if you're going to work with hazardous technology. Do you have the safety-mindset that prevents you from having you dual-use tech on the streets? You're probably familiar with the abysmal safety / capabilities ratio of people working in the field, any tech that helps safety as much as capability, will therefore in practice help capability more, if you don't distribute it carefully.

I personally would want some organisation to step up to become the keeper of secrets. I'd want them to just go all-out on cybersec, have a web of trust and basically be the solution to the unilateralists curse. That's not ML though.

I think this problem has a large ML-part to it, but the problem is being tackled nearly-solely by ML people. I think whatever part of the problem can be tackled with ML, won't necessarily benefit by having more ML people on it.

Comment by Jono (lw-user0246) on Closed-Source Evaluations · 2024-06-08T19:46:39.309Z · LW · GW


Comment by Jono (lw-user0246) on Shallow review of live agendas in alignment & safety · 2023-11-29T09:51:09.523Z · LW · GW aims to collect research agendas and have people comment on their strengths and vulnerabilities. The discord also occasionally hosts a critique-a-ton, where people discuss specific agendas.

Comment by Jono (lw-user0246) on AI as a science, and three obstacles to alignment strategies · 2023-10-27T09:47:25.739Z · LW · GW

We do not know, that is the relevant problem.

Looking at the output of a black box is insufficient. You can only know by putting the black box in power, or by deeply understanding it.
Humans are born into a world with others in power, so we know that most humans care about each other without knowing why.
AI has no history of demonstrating friendliness in the only circumstances where that can be provably found. We can only know in advance by way of thorough understanding.

A strong theory about AI internals should come first. Refuting Yudkowsky's theory about how it might go wrong is irrelevant.

Comment by Jono (lw-user0246) on The Löbian Obstacle, And Why You Should Care · 2023-09-08T08:28:44.190Z · LW · GW

Layman here 👋
Iiuc we cannot trust the proof of an unaligned simulacra's suggestion because if it is smarter than us.
Would that be a non-issue if verifying the proof is easier than making it?
If we can know how hard it is to verify a proof without verifying, then we can find a safe protocol for communicating with this simulacra. Is this possible?

**Between two parts of the entry: materials data**
U2TlCoO8 | PBE+U | optimized geometry

Output
Total magnetization in μB/f.u.: 3.5
Crystal system: tetragonal
SG: I-4, No. 82
DOS(E_F) in states/eV/f.u.: 5.40
V in Å³ per cell: 151.5
Total energy in eV per cell: -96.03

Cell: 5.3402 5.3402 6.5175 Å, 114.18 114.18 90.00°
Site moments in Bohr magnetons follow the coordinates.
Fractional coordinates of all 12 atoms:
O (0.1480, 0.5673, 0.7035)  0.00
O (0.1641, 0.1121, 0.8065)  0.01
O (0.5555, 0.1361, 0.7035)  0.00
Tl (0.7500, 0.2500, 0.5000)  0.05
O (0.4327, 0.4445, 0.2965)  0.00
U (0.2500, 0.7500, 0.5000)  0.34
U (0.5000, 0.5000, 0.0000)  0.31
O (0.8639, 0.8520, 0.2965)  0.00
O (0.6425, 0.6944, 0.8065)  0.01
O (0.8879, 0.3575, 0.1935)  0.01
Co (0.0000, 0.0000, 0.0000)  2.70
O (0.3056, 0.8359, 0.1935)  0.01

----------

No. 1
# KCu2Ru | Alexandria via LeMat-Bulk | GGA-PBE | optimized geometry
data_KCu2Ru
_chemical_formula_sum 'K4 Cu8 Ru4'
_space_group_name_H-M_alt 'F -4 3 m'
_space_group_IT_number 216
_space_group_name_Hall 'F -4 2 3'
_cell_length_a 6.467
_cell_length_b 6.467
_cell_length_c 6.467
_cell_angle_alpha 90.00
_cell_angle_beta 90.00
_cell_angle_gamma 90.00
loop_
_atom_site_label
_atom_site_type_symbol
_atom_site_fract_x
_atom_site_fract_y
_atom_site_fract_z
K1 K 0.000 0.000 0.000
Cu1 Cu 0.000 0.000 0.500
Cu2 Cu 0.250 0.250 0.250
Ru1 Ru 0.250 0.250 0.750
# Volume in Å³/cell: 270.50
# ΔH_f (0 K) in meV/atom: 1187.6



No. 2
# KCuRu | Alexandria via LeMat-Bulk | GGA-PBE | optimized geometry
data_KCuRu
_chemical_formula_sum 'K2 Cu2 Ru2'
_space_group_name_H-M_alt 'I m m 2'
_space_group_IT_number 44
_cell_length_a 2.613
_cell_length_b 4.175
_cell_length_c 11.772
_cell_angle_alpha 90.00
_cell_angle_beta 90.00
_cell_angle_gamma 90.00
loop_
_space_group_symop_operation_xyz
'x,y,z'
'-x,-y,z'
'-x,y,z'
'x,-y,z'
'x+1/2,y+1/2,z+1/2'
'-x+1/2,-y+1/2,z+1/2'
'-x+1/2,y+1/2,z+1/2'
'x+1/2,-y+1/2,z+1/2'
loop_
_atom_site_label
_atom_site_type_symbol
_atom_site_fract_x
_atom_site_fract_y
_atom_site_fract_z
K1 K 0.000 0.000 0.000
Cu1 Cu 0.000 0.000 0.277
Ru1 Ru 0.000 0.000 0.723
# Volume in Å³/cell: 128.45
# ΔH_f (0 K) in meV/atom: 716.8



Q: volume of number 1 (KCu2Ru)?
A: 270.50 Å³/cell



Q: What is the formula in the second record?
A: KCuRu

Comment by lw-user0246 on [deleted post] 2022-09-29T15:10:35.648Z

it might be the case that any kind of meaningful values would be reasonably encodable as answers to the question "what next set of MPIs should be instantiated?" 

What examples of (meaningless) values are not answers to "What next set of MPIs should be instantiated?"

Comment by Jono (lw-user0246) on All AGI safety questions welcome (especially basic ones) [Sept 2022] · 2022-09-08T16:19:58.160Z · LW · GW

What does our world (a decade) after the employment of a successfully aligned AGI look like?

Comment by Jono (lw-user0246) on AGI Safety FAQ / all-dumb-questions-allowed thread · 2022-06-10T06:50:48.471Z · LW · GW

Thank you plex, I was not aware of this wiki.
The pitch is nice, I'll incorporate it.

Comment by Jono (lw-user0246) on AGI Safety FAQ / all-dumb-questions-allowed thread · 2022-06-10T06:40:22.981Z · LW · GW

Why do I care if the people around me care about AI risk?

1. when AI is going to rule we'd like the people to somehow have some power I reckon.
I mean creating any superintelligence is a powergrab. Making one in secret is quite hostile, shouldn't people get a say or at least insight in what their future holds?

2. Nobody still really knows what we'd like the superint to do. I think an ML researcher is as capable of voicing their desires for the future as an artist. The field surely can benefit from interdisciplinary approaches.

Between two parts of the piece: records of crystals =
- - -
First-principles (PBE) data for crystalline NpNiH8Ir2 at its relaxed geometry, as listed in Alexandria.

Calculated values
The value obtained for the uncorrected energy is -5.223 eV per atom.

Cell lengths 4.7844, 4.7844, 5.7788 Å; angles 90.00, 90.00, 120.00 degrees
Closest atoms and distances in Å follow each position.
Fractional coordinates of all 12 atoms:
Np1 0.0000 0.0000 0.5000  6 H 2.38
Ni1 0.0000 0.0000 0.0000  6 H 1.70
H1 0.8315 0.1685 0.1664  1 Ni 1.70, 1 Ir 1.78
H2 0.8315 0.6630 0.1664  1 Ni 1.70, 1 Ir 1.78
H3 0.3370 0.1685 0.1664  1 Ni 1.70, 1 Ir 1.78
H4 0.6630 0.8315 0.8336  1 Ni 1.70, 1 Ir 1.78
H5 0.3333 0.6667 0.3539  1 Ir 1.63
H6 0.6667 0.3333 0.6461  1 Ir 1.63
H7 0.1685 0.8315 0.8336  1 Ni 1.70, 1 Ir 1.78
H8 0.1685 0.3370 0.8336  1 Ni 1.70, 1 Ir 1.78
Ir1 0.6667 0.3333 0.3638  4 H 1.63-1.78
Ir2 0.3333 0.6667 0.6362  4 H 1.63-1.78

~~~~~

Ni15Ir2Pd2 | Alexandria | PBE | optimized geometry; energy of formation from the pure elements = 0.1492 eV per atom; spin magnetization = 11.6 Bohr magnetons per cell; final energy = -5.894 eV per atom
1.0
-1.410 2.637 -5.456
-5.979 1.281 1.148
0.672 5.951 1.687
Ni Pd Ir
15 2 2
Direct
0.349 0.842 0.349
0.651 0.651 0.158
0.842 0.349 0.349
0.691 0.000 0.309
0.349 0.349 0.842
0.000 0.000 0.500
0.309 0.000 0.691
0.000 0.309 0.691
0.000 0.500 0.000
0.000 0.691 0.309
0.691 0.309 0.000
0.500 0.000 0.000
0.309 0.691 0.000
0.651 0.158 0.651
0.158 0.651 0.651
0.646 0.646 0.646
0.354 0.354 0.354
0.101 0.101 0.101
- - -

3. As with nuclear war, I'm sure politicians will care more when the people care more. AI governance is a big point. Convincing AI devs to not make the superint seems easier when a big percentage of humanity is pressuring them not to do it.

4. Maybe this also extends to international relations. Seeing that the people of a democratic country care about the safety, makes the ventures from that country seem more reliable.

5. I get bummed out when nobody knows what I'm talking about.

Comment by Jono (lw-user0246) on AGI Safety FAQ / all-dumb-questions-allowed thread · 2022-06-09T13:31:16.872Z · LW · GW

I'm concerned with the ethics.
Is it wrong to doom speak to strangers? Is that the most effective thing here? I'd be lying if I said I was fine, but would it be best to tell them I'm "mildly concerned"?

How do convey these grave emotions I have while maximally getting the people around me to care about mitigating AI risk?

Should I compromise on truth and downplay my concerns if that will get someone to care more? Should I expect people to be more receptive to the message of AI risk if I'm mild about it? 

Comment by Jono (lw-user0246) on AGI Safety FAQ / all-dumb-questions-allowed thread · 2022-06-09T07:05:28.624Z · LW · GW

What do I tell the people who I know but can't spend lots of time with?

Clarification: How do I get relative strangers who converse with me IRL to maximally care about the dangers of AI?

Do I downplay my concerns such that they don't think I'm crazy?
Do I mention it every time I see them to make sure they don't forget?
Do I tolerate third parties butting in and making wrong statements?
Do I tell them to read up on it and pester them on whether they read it already?
Do I never mention it to laymen to avoid them propagating wrong memes?
Do I seek out and approach people who could be useful to the field or should I just forward or mention them to someone who can give the topic a better first impression than me?